**Wanted**
Give back the contents further down without additions, please.

**Given**
1.
A plane-wave DFT calculation with r2SCAN was carried out for a relaxed K5Pr4Si4O16F crystal.

Computed properties:
**Final energy**: -376.573 eV for the cell shown
**M_tot**: 0.00 μB per formula unit
**ΔH_f (0 K)**: -3.17 eV/atom

Structure (POSCAR):
```
K5Pr4Si4O16F
1.0
-6.197 6.197 2.762
6.197 -6.197 2.762
6.197 6.197 -2.762
O K Pr Si F
16 5 4 4 1
Direct
0.857 0.830 0.573 O
0.170 0.743 0.027 O
0.452 0.281 0.241 O
0.888 0.381 0.260 O
0.188 0.436 0.146 O
0.619 0.880 0.507 O
0.373 0.112 0.493 O
0.290 0.042 0.854 O
0.120 0.627 0.740 O
0.564 0.710 0.752 O
0.041 0.211 0.759 O
0.717 0.143 0.973 O
0.257 0.283 0.427 O
0.789 0.548 0.830 O
0.958 0.812 0.248 O
0.719 0.959 0.170 O
0.408 0.898 0.305 K
0.000 0.000 0.000 K
0.593 0.103 0.695 K
0.102 0.407 0.510 K
0.897 0.592 0.490 K
0.333 0.635 0.933 Pr
0.365 0.298 0.698 Pr
0.600 0.667 0.302 Pr
0.702 0.400 0.067 Pr
0.886 0.236 0.141 Si
0.255 0.114 0.350 Si
0.764 0.905 0.650 Si
0.095 0.745 0.859 Si
0.500 0.500 0.000 F
```

=====

2.
A plane-wave DFT calculation with r2SCAN was carried out for a relaxed K3UO2F5 crystal.

Computed properties:
**Final energy**: -648.154 eV for the cell shown
**M_tot**: 0.00 μB per formula unit
**ΔH_f (0 K)**: -3.32 eV/atom

Structure (POSCAR):
```
K3UO2F5
1.0
-4.558 4.557 9.017
4.558 -4.557 9.017
4.557 4.558 -9.017
F O K U
20 8 12 4
Direct
0.215 0.040 0.715 F
0.790 0.574 0.325 F
0.110 0.984 0.836 F
0.644 0.644 0.000 F
0.356 0.356 0.000 F
0.734 0.398 0.374 F
0.394 0.894 0.500 F
0.016 0.852 0.126 F
0.535 0.210 0.785 F
0.726 0.890 0.874 F
0.500 0.785 0.825 F
0.640 0.266 0.664 F
0.250 0.465 0.675 F
0.960 0.676 0.175 F
0.024 0.360 0.626 F
0.602 0.976 0.336 F
0.324 0.500 0.285 F
0.426 0.750 0.215 F
0.106 0.606 0.500 F
0.148 0.274 0.164 F
0.932 0.283 0.258 O
0.425 0.182 0.150 O
0.818 0.967 0.242 O
0.725 0.575 0.758 O
0.033 0.275 0.850 O
0.025 0.675 0.742 O
0.717 0.975 0.650 O
0.325 0.068 0.350 O
0.250 0.750 0.500 K
0.345 0.824 0.948 K
0.876 0.397 0.052 K
0.147 0.595 0.021 K
0.603 0.655 0.479 K
0.574 0.126 0.979 K
0.000 0.000 0.000 K
0.500 0.500 0.000 K
0.405 0.426 0.552 K
0.176 0.124 0.521 K
0.750 0.250 0.500 K
0.874 0.853 0.448 K
0.771 0.771 0.000 U
0.229 0.229 0.000 U
0.521 0.021 0.500 U
0.979 0.479 0.500 U
```

=====

3.
A plane-wave DFT calculation with r2SCAN was carried out for a relaxed K3OsF6 crystal.

Computed properties:
**Final energy**: -113.503 eV for the cell shown
**M_tot**: 1.00 μB per formula unit
**ΔH_f (0 K)**: -2.37 eV/atom

Structure (POSCAR):
```
K3OsF6
1.0
7.359 2.999 2.218
-1.371 -5.630 -3.203
-1.657 2.120 -6.031
F K Os
6 3 1
Direct
0.220 0.294 0.221 F
0.076 0.296 0.781 F
0.780 0.706 0.779 F
0.779 0.000 0.074 F
0.221 0.000 0.926 F
0.924 0.704 0.219 F
0.500 0.500 0.000 K
0.000 0.000 0.500 K
0.000 0.500 0.000 K
0.000 0.000 0.000 Os
```

=====

4.
A plane-wave DFT calculation with r2SCAN was carried out for a relaxed K2PdF6 crystal.

Computed properties:
**Final energy**: -74.525 eV for the cell shown
**M_tot**: 0.00 μB per formula unit
**ΔH_f (0 K)**: -2.31 eV/atom

Structure (POSCAR):
```
K2PdF6
1.0
-3.012 3.924 -2.815
1.485 -4.846 -2.590
-3.904 -1.965 1.438
K F Pd
2 6 1
Direct
0.333 0.667 0.717 K
0.667 0.333 0.283 K
0.836 0.673 0.773 F
0.164 0.327 0.227 F
0.673 0.836 0.227 F
0.164 0.836 0.227 F
0.836 0.164 0.773 F
0.327 0.164 0.773 F
0.000 0.000 0.000 Pd
```

=====

5.
A plane-wave DFT calculation with r2SCAN was carried out for a relaxed KPrF4 crystal.

Computed properties:
**Final energy**: -287.178 eV for the cell shown
**M_tot**: 0.00 μB per formula unit
**ΔH_f (0 K)**: -3.98 eV/atom

Structure (POSCAR):
```
KPrF4
1.0
-0.444 3.211 1.933
2.239 -2.774 5.122
14.420 4.365 -3.938
F K Pr
16 4 4
Direct
0.750 0.995 0.559 F
0.250 0.138 0.964 F
0.750 0.399 0.635 F
0.750 0.862 0.036 F
0.750 0.899 0.865 F
0.750 0.412 0.195 F
0.250 0.088 0.695 F
0.250 0.101 0.135 F
0.250 0.588 0.805 F
0.750 0.912 0.305 F
0.750 0.362 0.464 F
0.750 0.495 0.941 F
0.250 0.505 0.059 F
0.250 0.601 0.365 F
0.250 0.638 0.536 F
0.250 0.005 0.441 F
0.750 0.279 0.797 K

**Outcome**
1.
A plane-wave DFT calculation with r2SCAN was carried out for a relaxed K5Pr4Si4O16F crystal.

Computed properties:
**Final energy**: -376.573 eV for the cell shown
**M_tot**: 0.00 μB per formula unit
**ΔH_f (0 K)**: -3.17 eV/atom

Structure (POSCAR):
```
K5Pr4Si4O16F
1.0
-6.197 6.197 2.762
6.197 -6.197 2.762
6.197 6.197 -2.762
O K Pr Si F
16 5 4 4 1
Direct
0.857 0.830 0.573 O
0.170 0.743 0.027 O
0.452 0.281 0.241 O
0.888 0.381 0.260 O
0.188 0.436 0.146 O
0.619 0.880 0.507 O
0.373 0.112 0.493 O
0.290 0.042 0.854 O
0.120 0.627 0.740 O
0.564 0.710 0.752 O
0.041 0.211 0.759 O
0.717 0.143 0.973 O
0.257 0.283 0.427 O
0.789 0.548 0.830 O
0.958 0.812 0.248 O
0.719 0.959 0.170 O
0.408 0.898 0.305 K
0.000 0.000 0.000 K
0.593 0.103 0.695 K
0.102 0.407 0.510 K
0.897 0.592 0.490 K
0.333 0.635 0.933 Pr
0.365 0.298 0.698 Pr
0.600 0.667 0.302 Pr
0.702 0.400 0.067 Pr
0.886 0.236 0.141 Si
0.255 0.114 0.350 Si
0.764 0.905 0.650 Si
0.095 0.745 0.859 Si
0.500 0.500 0.000 F
```

=====

2.
A plane-wave DFT calculation with r2SCAN was carried out for a relaxed K3UO2F5 crystal.

Computed properties:
**Final energy**: -648.154 eV for the cell shown
**M_tot**: 0.00 μB per formula unit
**ΔH_f (0 K)**: -3.32 eV/atom

Structure (POSCAR):
```
K3UO2F5
1.0
-4.558 4.557 9.017
4.558 -4.557 9.017
4.557 4.558 -9.017
F O K U
20 8 12 4
Direct
0.215 0.040 0.715 F
0.790 0.574 0.325 F
0.110 0.984 0.836 F
0.644 0.644 0.000 F
0.356 0.356 0.000 F
0.734 0.398 0.374 F
0.394 0.894 0.500 F
0.016 0.852 0.126 F
0.535 0.210 0.785 F
0.726 0.890 0.874 F
0.500 0.785 0.825 F
0.640 0.266 0.664 F
0.250 0.465 0.675 F
0.960 0.676 0.175 F
0.024 0.360 0.626 F
0.602 0.976 0.336 F
0.324 0.500 0.285 F
0.426 0.750 0.215 F
0.106 0.606 0.500 F
0.148 0.274 0.164 F
0.932 0.283 0.258 O
0.425 0.182 0.150 O
0.818 0.967 0.242 O
0.725 0.575 0.758 O
0.033 0.275 0.850 O
0.025 0.675 0.742 O
0.717 0.975 0.650 O
0.325 0.068 0.350 O
0.250 0.750 0.500 K
0.345 0.824 0.948 K
0.876 0.397 0.052 K
0.147 0.595 0.021 K
0.603 0.655 0.479 K
0.574 0.126 0.979 K
0.000 0.000 0.000 K
0.500 0.500 0.000 K
0.405 0.426 0.552 K
0.176 0.124 0.521 K
0.750 0.250 0.500 K
0.874 0.853 0.448 K
0.771 0.771 0.000 U
0.229 0.229 0.000 U
0.521 0.021 0.500 U
0.979 0.479 0.500 U
```

=====

3.
A plane-wave DFT calculation with r2SCAN was carried out for a relaxed K3OsF6 crystal.

Computed properties:
**Final energy**: -113.503 eV for the cell shown
**M_tot**: 1.00 μB per formula unit
**ΔH_f (0 K)**: -2.37 eV/atom

Structure (POSCAR):
```
K3OsF6
1.0
7.359 2.999 2.218
-1.371 -5.630 -3.203
-1.657 2.120 -6.031
F K Os
6 3 1
Direct
0.220 0.294 0.221 F
0.076 0.296 0.781 F
0.780 0.706 0.779 F
0.779 0.000 0.074 F
0.221 0.000 0.926 F
0.924 0.704 0.219 F
0.500 0.500 0.000 K
0.000 0.000 0.500 K
0.000 0.500 0.000 K
0.000 0.000 0.000 Os
```

=====

4.
A plane-wave DFT calculation with r2SCAN was carried out for a relaxed K2PdF6 crystal.

Computed properties:
**Final energy**: -74.525 eV for the cell shown
**M_tot**: 0.00 μB per formula unit
**ΔH_f (0 K)**: -2.31 eV/atom

Structure (POSCAR):
```
K2PdF6
1.0
-3.012 3.924 -2.815
1.485 -4.846 -2.590
-3.904 -1.965 1.438
K F Pd
2 6 1
Direct
0.333 0.667 0.717 K
0.667 0.333 0.283 K
0.836 0.673 0.773 F
0.164 0.327 0.227 F
0.673 0.836 0.227 F
0.164 0.836 0.227 F
0.836 0.164 0.773 F
0.327 0.164 0.773 F
0.000 0.000 0.000 Pd
```

=====

5.
A plane-wave DFT calculation with r2SCAN was carried out for a relaxed KPrF4 crystal.

Computed properties:
**Final energy**: -287.178 eV for the cell shown
**M_tot**: 0.00 μB per formula unit
**ΔH_f (0 K)**: -3.98 eV/atom

Structure (POSCAR):
```
KPrF4
1.0
-0.444 3.211 1.933
2.239 -2.774 5.122
14.420 4.365 -3.938
F K Pr
16 4 4
Direct
0.750 0.995 0.559 F
0.250 0.138 0.964 F
0.750 0.399 0.635 F
0.750 0.862 0.036 F
0.750 0.899 0.865 F
0.750 0.412 0.195 F
0.250 0.088 0.695 F
0.250 0.101 0.135 F
0.250 0.588 0.805 F
0.750 0.912 0.305 F
0.750 0.362 0.464 F
0.750 0.495 0.941 F
0.250 0.505 0.059 F
0.250 0.601 0.365 F
0.250 0.638 0.536 F
0.250 0.005 0.441 F
0.750 0.279 0.797 K